Work order:
Next, work out how many lines further below have the word "neighbours" in them; a number is enough.
Input:
# 1
The following is a DFT calculation (PBE) of a relaxed structure of BaC4O4F6.

Unit cell a=12.9667 b=12.9667 c=12.9667 alpha=112.76 beta=112.76 gamma=112.76
Last column: nearest neighbours and their distance in Å.
Positions (direct):
Ba 0.4860 0.0523 0.8448  6 O 2.70-2.93
Ba 0.0523 0.8448 0.4860  6 O 2.70-2.93
Ba 0.8448 0.4860 0.0523  6 O 2.70-2.93
Ba 0.5140 0.9477 0.1552  6 O 2.70-2.93
Ba 0.9477 0.1552 0.5140  6 O 2.70-2.93
Ba 0.1552 0.5140 0.9477  6 O 2.70-2.93
C 0.2077 0.8682 0.8257  2 O 1.26
C 0.8682 0.8257 0.2077  2 O 1.26
C 0.8257 0.2077 0.8682  2 O 1.26
C 0.7923 0.1318 0.1743  2 O 1.26
C 0.1318 0.1743 0.7923  2 O 1.26
C 0.1743 0.7923 0.1318  2 O 1.26
C 0.0688 0.7720 0.8027  3 F 1.35-1.38
C 0.7720 0.8027 0.0688  3 F 1.35-1.38
C 0.8027 0.0688 0.7720  3 F 1.35-1.38
C 0.9312 0.2280 0.1973  3 F 1.35-1.38
C 0.2280 0.1973 0.9312  3 F 1.35-1.38
C 0.1973 0.9312 0.2280  3 F 1.35-1.38
C 0.7421 0.4227 0.2368  2 O 1.26
C 0.4227 0.2368 0.7421  2 O 1.26
C 0.2368 0.7421 0.4227  2 O 1.26
C 0.2579 0.5773 0.7632  2 O 1.26
C 0.5773 0.7632 0.2579  2 O 1.26
C 0.7632 0.2579 0.5773  2 O 1.26
C 0.6983 0.3825 0.3202  3 F 1.35-1.38
C 0.3825 0.3202 0.6983  3 F 1.35-1.38
C 0.3202 0.6983 0.3825  3 F 1.35-1.38
C 0.3017 0.6175 0.6798  3 F 1.35-1.38
C 0.6175 0.6798 0.3017  3 F 1.35-1.38
C 0.6798 0.3017 0.6175  3 F 1.35-1.38
O 0.1882 0.8674 0.7220  1 C 1.26
O 0.8674 0.7220 0.1882  1 C 1.26
O 0.7220 0.1882 0.8674  1 C 1.26
O 0.8118 0.1326 0.2780  1 C 1.26
O 0.1326 0.2780 0.8118  1 C 1.26
O 0.2780 0.8118 0.1326  1 C 1.26
O 0.3274 0.9362 0.9434  1 C 1.26
O 0.9362 0.9434 0.3274  1 C 1.26
O 0.9434 0.3274 0.9362  1 C 1.26
O 0.6726 0.0638 0.0566  1 C 1.26
O 0.0638 0.0566 0.6726  1 C 1.26
O 0.0566 0.6726 0.0638  1 C 1.26
O 0.6745 0.3225 0.1064  1 C 1.26
O 0.3225 0.1064 0.6745  1 C 1.26
O 0.1064 0.6745 0.3225  1 C 1.26
O 0.3255 0.6775 0.8936  1 C 1.26
O 0.6775 0.8936 0.3255  1 C 1.26
O 0.8936 0.3255 0.6775  1 C 1.26
O 0.8446 0.5535 0.3097  1 C 1.26
O 0.5535 0.3097 0.8446  1 C 1.26
O 0.3097 0.8446 0.5535  1 C 1.26
O 0.1554 0.4465 0.6903  1 C 1.26
O 0.4465 0.6903 0.1554  1 C 1.26
O 0.6903 0.1554 0.4465  1 C 1.26
F 0.9496 0.7307 0.6892  1 C 1.35
F 0.7307 0.6892 0.9496  1 C 1.35
F 0.6892 0.9496 0.7307  1 C 1.35
F 0.0504 0.2693 0.3108  1 C 1.35
F 0.2693 0.3108 0.0504  1 C 1.35
F 0.3108 0.0504 0.2693  1 C 1.35
F 0.0470 0.6487 0.7754  1 C 1.38
F 0.6487 0.7754 0.0470  1 C 1.38
F 0.7754 0.0470 0.6487  1 C 1.38
F 0.9530 0.3513 0.2246  1 C 1.38
F 0.3513 0.2246 0.9530  1 C 1.38
F 0.2246 0.9530 0.3513  1 C 1.38
F 0.0789 0.8395 0.9205  1 C 1.36
F 0.8395 0.9205 0.0789  1 C 1.36
F 0.9205 0.0789 0.8395  1 C 1.36
F 0.9211 0.1605 0.0795  1 C 1.36
F 0.1605 0.0795 0.9211  1 C 1.36
F 0.0795 0.9211 0.1605  1 C 1.36
F 0.5856 0.2377 0.2337  1 C 1.38
F 0.2377 0.2337 0.5856  1 C 1.38
F 0.2337 0.5856 0.2377  1 C 1.38
F 0.4144 0.7623 0.7663  1 C 1.38
F 0.7623 0.7663 0.4144  1 C 1.38
F 0.7663 0.4144 0.7623  1 C 1.38
F 0.8110 0.4129 0.4314  1 C 1.36
F 0.4129 0.4314 0.8110  1 C 1.36
F 0.4314 0.8110 0.4129  1 C 1.36
F 0.1890 0.5871 0.5686  1 C 1.36
F 0.5871 0.5686 0.1890  1 C 1.36
F 0.5686 0.1890 0.5871  1 C 1.36
F 0.6574 0.4553 0.3744  1 C 1.35
F 0.4553 0.3744 0.6574  1 C 1.35
F 0.3744 0.6574 0.4553  1 C 1.35
F 0.3426 0.5447 0.6256  1 C 1.35
F 0.5447 0.6256 0.3426  1 C 1.35
F 0.6256 0.3426 0.5447  1 C 1.35

# 2
The following is a DFT calculation (PBE) of a relaxed structure of BaPb2C2O6F2.

Unit cell a=8.5707 b=8.5707 c=8.5707 alpha=35.66 beta=35.66 gamma=35.66
Last column: nearest neighbours and their distance in Å.
Positions (direct):
Ba 0.0000 0.0000 0.0000  6 O 2.91, 6 F 3.08
Pb 0.2166 0.2166 0.2166  1 F 2.24
Pb 0.7834 0.7834 0.7834  1 F 2.24
C 0.4298 0.4298 0.4298  3 O 1.30
C 0.5702 0.5702 0.5702  3 O 1.30
O 0.2877 0.7165 0.2877  1 C 1.30
O 0.7123 0.2835 0.7123  1 C 1.30
O 0.2877 0.2877 0.7165  1 C 1.30
O 0.7123 0.7123 0.2835  1 C 1.30
O 0.2835 0.7123 0.7123  1 C 1.30
O 0.7165 0.2877 0.2877  1 C 1.30
F 0.3098 0.3098 0.3098  1 Pb 2.24
F 0.6902 0.6902 0.6902  1 Pb 2.24

# 3
Done:
2